Suzanne and I went to the dentist last week for what was, for me, the first time in over a decade. I was expecting a lot of "ZOMG!! Cavities! Crooked wisdom teeth! Your gums have rotted straight through to your spine! Get the drills, no time for novacaine, we're going in!!" Actually, it was just, "You could floss a little more," and they made another appointment for a cleaning. And that was it. Apparently, against all odds, the only thing I've really hurt by my years of neglect is the income of some poor dentist out there.
...Nerd Herding
DragonCon was fun. I spent a little time in open gaming, reinforcing my opinion that next year, if I go, I should spend a lot more time in open gaming. Aside from seeing and spending time with friends, that's really what I enjoy most at the con. (Seeing, spending time with, and playing games with my friends is a sort of DragonCon hat trick.)
servingdonuts has a pretty cool "Insta-LARP" system that I look forward to playing, one day. It wasn't quite ready for prime time at the con, but I think it'll be a lot of fun once it's been polished and trimmed a little. I also had a fucking blast spinning the Secret Room party. The crowd was the best I've ever played for, and despite some con scheduling snafus, dj Weasel and dj Spider where hella cool folks to work with and great DJs - I stuck around till about 7 in the morning after my set was done, dancing most of the while.
...Public Drunkenness
Correction: DragonCon was fun except for a few hours Saturday night. I haven't been more intoxicated than "mildly tipsy" in years, so I forget that yes, even large men of irish descent will get humiliatingly trashed if they completely ignore sane limits of alcohol consumption. Sorry to anybody I embarrassed myself in front of, and massive thanks are due my lovely wife for looking after me*. This sort of thing isn't even remotely a regular occurrence, but given the alcoholism that runs up and down both sides of my family tree it seems wise to step back and take stock after making a drunken mess of myself. So, for at least a little while, I'm officially off the sauce.
...Dark Indy Rock (aka "music that sounds like Joy Division, except it's good")
You know, like
Interpol and
She Wants Revenge. I've been getting on a serious dark indy jag lately, spurred largely by
The Editors (whom I was turned on to by
beeporama). Good stuff!
<<<
# 1
52
Properties=species:S:1:pos:R:3:forces:R:3:nbo_charge:R:1 method="wB97M-V/def2-TZVPD" relative_energy_kj_mol=17.6 e_homo_ev=-6.97 spin_multiplicity=1 mol_weight_da=518.87 orbital_gap_ev=6.94 largest_force_ev_per_a=0.42
Pd 0.54106 -1.28813 -0.34410 -0.145 -0.242 0.064 0.8497
O 2.08485 -1.19759 3.38001 -0.056 -0.132 -0.045 -0.6351
C 1.82668 -1.28279 2.18477 0.094 0.108 0.082 0.6007
N 0.68322 -1.62336 1.57611 0.151 0.091 0.033 -0.5964
C -0.53333 -1.91813 2.20965 -0.179 -0.007 -0.047 0.1657
C -0.72501 -2.10081 3.57544 0.025 0.021 -0.079 -0.2359
C -2.00095 -2.36777 4.05507 -0.066 -0.020 0.023 -0.2373
C -3.07446 -2.46620 3.18320 0.006 0.000 0.076 -0.2178
C -2.88042 -2.30441 1.81960 0.104 0.020 -0.064 -0.2536
C -1.61426 -2.01368 1.31795 -0.134 -0.121 0.380 0.1287
N -1.37297 -1.89269 -0.06230 0.055 0.224 -0.140 -0.6976
C -2.33332 -1.22712 -0.78891 0.180 -0.182 -0.107 0.6639
O -2.66033 -1.55671 -1.92060 -0.011 0.057 -0.023 -0.6251
C -2.93632 0.02762 -0.20363 -0.235 0.032 -0.067 0.0946
C -4.25752 0.35476 -0.48574 0.075 -0.038 0.017 -0.2178
C -4.76382 1.53647 0.02203 -0.026 0.027 -0.002 -0.1719
C -3.92458 2.35419 0.76287 0.019 0.034 0.026 -0.2537
C -2.61300 1.95084 0.96366 -0.005 -0.046 -0.009 0.0382
N -2.12058 0.80572 0.49927 0.015 0.095 0.085 -0.4093
C 2.91069 -0.96583 1.17460 -0.076 0.001 -0.066 0.1549
C 4.21142 -0.72243 1.57118 0.029 -0.004 -0.023 -0.2106
C 5.16550 -0.45794 0.60290 -0.057 -0.017 -0.042 -0.1456
C 4.78631 -0.44535 -0.73280 0.041 0.005 0.024 -0.2541
C 3.46319 -0.68490 -1.05336 -0.010 -0.059 0.029 0.0597
N 2.54698 -0.93466 -0.11751 0.115 0.168 -0.068 -0.4416
H 0.11532 -2.01329 4.24553 0.011 -0.004 -0.007 0.2451
H -2.15045 -2.50503 5.11811 -0.002 0.005 0.003 0.2084
H -4.06594 -2.68516 3.55890 0.006 -0.002 0.014 0.2074
H -3.71202 -2.42268 1.13427 0.013 0.001 -0.017 0.2078
H -4.85103 -0.31787 -1.08887 -0.011 0.006 -0.002 0.2329
H -5.79274 1.81965 -0.15929 -0.001 0.002 0.004 0.2167
H -4.27205 3.28982 1.17952 -0.014 -0.002 -0.005 0.2189
H -1.92577 2.57109 1.52830 0.000 0.003 0.004 0.1939
H 4.42988 -0.75054 2.62923 -0.001 -0.002 0.003 0.2582
H 6.19371 -0.26941 0.88145 0.004 0.007 0.001 0.2251
H 5.50065 -0.25195 -1.52029 0.001 0.001 0.002 0.2288
H 3.11034 -0.68872 -2.07609 0.015 0.021 -0.013 0.2143
C -1.04329 -2.07242 -5.48272 0.002 -0.005 0.006 -0.6489
C -0.38223 -1.28061 -4.40999 -0.004 -0.008 -0.017 0.2067
C 0.14842 -0.00945 -4.40526 -0.001 0.079 0.033 -0.3469
C 0.55166 0.23420 -3.07999 0.030 -0.064 0.108 0.1885
N 0.30503 -0.84149 -2.34193 0.067 -0.093 -0.042 -0.3185
N -0.23322 -1.76211 -3.16505 0.009 0.013 -0.088 -0.3208
C 1.11656 1.47068 -2.46554 -0.018 -0.012 -0.042 -0.6498
H -1.20280 -1.45020 -6.36001 0.002 0.000 -0.002 0.2320
H -2.01105 -2.43974 -5.13937 -0.004 -0.003 -0.005 0.2409
H -0.43467 -2.92863 -5.77507 -0.004 -0.007 0.002 0.2304
H 0.20878 0.66963 -5.23788 0.001 0.001 -0.013 0.2311
H -0.76911 -2.50697 -2.73882 -0.013 0.014 0.019 0.4488
H 1.92851 1.87994 -3.06651 0.007 -0.007 -0.001 0.2235
>>>
* Actually, thanks are also due somebody else, whom shall remain unnamed to avoid implicating anybody who might or might not want to advertise their own epic intoxication. But you know who you are, so thanks (and I'm really, really sorry)!